Entries =
┌──
Simulated powder X-ray diffraction pattern
Compound: Sm5InSb2
Radiation: λ = 1.5418 Å (Cu Kα)
Structure: a crystal structure in Alexandria, relaxed with GGA-PBE
Intensities are scaled so that the largest is 100.

a = 5.6599 Å, b = 9.8591 Å, c = 17.6324 Å
α = 90.00°, β = 90.00°, γ = 90.00°
Space group Cmcm (No. 63)
Asymmetric unit:
Sm 0.0000 0.0850 0.0780 [8 per cell]
Sm 0.0000 0.2634 0.7500 [4 per cell]
Sm 0.0000 0.4070 0.1015 [8 per cell]
In 0.0000 0.0687 0.2500 [4 per cell]
Sb 0.0000 0.2626 0.5720 [8 per cell]

Most intense lines, 10° ≤ 2θ ≤ 90°, by intensity:
31.90 deg, 2.806 Å, I = 100; 31.62 deg, 2.830 Å, I = 69; 30.42 deg, 2.939 Å, I = 63; 35.07 deg, 2.559 Å, I = 51; 44.44 deg, 2.038 Å, I = 45; 40.78 deg, 2.213 Å, I = 42; 48.28 deg, 1.885 Å, I = 28; 74.11 deg, 1.279 Å, I = 23

* * * * *

This entry pairs a crystal structure of Ba2Ge4Rh5 with its simulated X-ray powder pattern. Radiation: Cu Kα (λ = 1.5418 Å). Structure: DFT lattice parameters and positions (PBE).

Largest 8 diffraction maxima, low angle first, 10° ≤ 2θ ≤ 90°:
hkl 0 2 4, 2.968 Å, 2θ 30.11, I = 50; hkl 1 3 1, 2.952 Å, 2θ 30.27, I = 50; hkl 2 2 0, 2.578 Å, 2θ 34.81, I = 76; hkl 1 3 3, 2.553 Å, 2θ 35.16, I = 100; hkl 2 0 4, 2.284 Å, 2θ 39.45, I = 98; hkl 1 3 5, 2.081 Å, 2θ 43.48, I = 39; hkl 0 0 8, 1.798 Å, 2θ 50.79, I = 40; hkl 2 6 0, 1.508 Å, 2θ 61.50, I = 40

Structure:
```
data_Ba2Ge4Rh5
_chemical_formula_sum 'Ba8 Ge16 Rh20'
_cell_length_a 5.9144
_cell_length_b 10.5169
_cell_length_c 14.3830
_cell_angle_alpha 90.00
_cell_angle_beta 90.00
_cell_angle_gamma 90.00
_symmetry_space_group_name_H-M 'F m m m'
_symmetry_Int_Tables_number 69
_symmetry_space_group_name_Hall '-F 2 2'
loop_
_atom_site_label
_atom_site_fract_x
_atom_site_fract_y
_atom_site_fract_z
└──
Wanted =
Work out how many lines above have the word "Ba2Ge4Rh5" in them; a number is enough.
Result =
1